**Brief:**
Your job: give back only the lines underneath with the word "Materials" in them.

**Excerpt:**
┌──
Record 1
The following is a DFT calculation (GGA+U) of a relaxed MgFe2O5 crystal.

Summary:
Energy above the most stable polymorph in this dataset ... 0 meV per atom
Volume ... 372.86 Å³/cell
Energy of formation ... -1.738 eV per atom
Final energy ... -6.1548 eV per atom

a b c (Å): 3.919 9.753 9.756
angles (deg): 90.00 90.00 90.00
Space group Cmcm (No. 63)
One atom of each set of equivalent atoms:
Mg (0.000, 0.205, 0.250) [4 per cell]
Fe (0.000, 0.139, 0.561) [8 per cell]
O (0.000, 0.047, 0.115) [8 per cell]
O (0.000, 0.215, 0.750) [4 per cell]
O (0.000, 0.310, 0.057) [8 per cell]

---

Record 2
The following is a DFT calculation (GGA+U) of a relaxed Ca4Al6WO16 crystal.

Summary:
Energy above the most stable polymorph in this dataset ... 0 meV per atom
Volume ... 3289.39 Å³/cell
Energy of formation ... -3.291 eV per atom
Final energy ... -7.2611 eV per atom

a b c (Å): 26.387 13.224 9.427
angles (deg): 90.00 90.00 90.00
Space group Aea2 (No. 41)
One atom of each set of equivalent atoms:
Ca (0.017, 0.232, 0.000) [8 per cell]
Ca (0.120, 0.486, 0.542) [8 per cell]
Ca (0.138, 0.026, 0.576) [8 per cell]
Ca (0.250, 0.238, 0.044) [8 per cell]
Al (0.000, 0.000, 0.039) [4 per cell]
Al (0.000, 0.000, 0.524) [4 per cell]
Al (0.060, 0.134, 0.290) [8 per cell]
Al (0.063, 0.386, 0.273) [8 per cell]
Al (0.185, 0.125, 0.295) [8 per cell]
Al (0.190, 0.374, 0.307) [8 per cell]
Al (0.243, 0.497, 0.552) [8 per cell]
W (0.136, 0.260, 0.797) [8 per cell]
O (0.017, 0.112, 0.430) [8 per cell]
O (0.033, 0.409, 0.438) [8 per cell]
O (0.046, 0.260, 0.232) [8 per cell]
O (0.047, 0.068, 0.130) [8 per cell]
O (0.054, 0.465, 0.124) [8 per cell]
O (0.089, 0.181, 0.881) [8 per cell]
O (0.106, 0.364, 0.708) [8 per cell]
O (0.122, 0.106, 0.348) [8 per cell]
O (0.126, 0.414, 0.313) [8 per cell]
O (0.171, 0.183, 0.668) [8 per cell]
O (0.179, 0.309, 0.931) [8 per cell]
O (0.195, 0.076, 0.121) [8 per cell]
O (0.209, 0.249, 0.276) [8 per cell]
O (0.209, 0.395, 0.485) [8 per cell]
O (0.212, 0.452, 0.173) [8 per cell]
O (0.220, 0.075, 0.440) [8 per cell]

---

Record 3
The following is a DFT calculation (GGA+U) of a relaxed Cs4Mn2PdF12 crystal.

Summary:
Volume ... 1508.36 Å³/cell
Energy of formation ... -2.749 eV per atom
Final energy ... -4.9161 eV per atom

a b c (Å): 8.738 8.738 19.757
angles (deg): 90.00 90.00 90.00
Space group I4_1/amd (No. 141, origin choice 2)
One atom of each set of equivalent atoms:
Cs (0.242, 0.000, 0.000) [16 per cell]
Mn (0.000, 0.250, 0.128) [8 per cell]
Pd (0.000, 0.250, 0.375) [4 per cell]
F (0.000, 0.018, 0.376) [16 per cell]
F (0.000, 0.037, 0.128) [16 per cell]
F (0.000, 0.250, 0.032) [8 per cell]
F (0.000, 0.250, 0.223) [8 per cell]


The following is a PBE calculation of Sn3S after structural relaxation, from Materials Project.

Values from the calculation:
- Raw total energy: -15.8 eV/f.u.
- V: 24.59 A^3/atom
- Total magnetic moment: 0.00 Bohr magnetons per cell
- ΔE_f: -2.7 kJ per mole of atoms

Geometry as POSCAR:
```
Sn3S
1.0
2.6843 -3.3651 2.8845
1.6443 1.3678 4.7196
-2.1648 -2.1079 4.2095
Sn S
3 1
Cartesian
0.5410 -1.0263 2.9534 Sn
1.0819 -2.0526 5.9068 Sn
1.6229 -3.0789 8.8602 Sn
0.0000 0.0000 0.0000 S
```

The following is a PBE calculation of Nd2As3Rh3 after structural relaxation, from Materials Project.

Values from the calculation:
- Raw total energy: -34.2 eV/f.u.
- V: 76.57 A^3/atom
- Total magnetic moment: 2.00 Bohr magnetons per cell
- ΔE_f: 137.6 kJ per mole of atoms

Geometry as POSCAR:
```
Nd2As3Rh3
1.0
-1.0819 -5.2429 -1.6867
2.2259 -1.9885 4.7534
-17.4523 0.8569 8.5311
Rh Nd As
3 2 3
Cartesian
-14.7545 -2.8632 9.0253 Rh
-8.1541 -3.1873 5.7989 Rh
-1.5538 -3.5113 2.5725 Rh
-12.7473 -2.9618 8.0442 Nd
-3.5610 -3.4128 3.5537 Nd
0.5720 -3.6157 1.5334 As
-10.1891 -3.0874 6.7937 As
-6.1191 -3.2872 4.8042 As
```

The following is a PBE calculation of NaAs3H2O9 after structural relaxation, from Materials Project.

Values from the calculation:
- Raw total energy: -85.1 eV/f.u.
- V: 12.23 A^3/atom
└──

**Worked solution:**
The following is a PBE calculation of Sn3S after structural relaxation, from Materials Project.
The following is a PBE calculation of Nd2As3Rh3 after structural relaxation, from Materials Project.
The following is a PBE calculation of NaAs3H2O9 after structural relaxation, from Materials Project.